My First Wedding, a Spontaneous Affair.
TC & I (check out that bouquet!)
Yesterday was my second wedding anniversary, which brought back lots and lots of memories of this day. The day before yesterday was the second anniversary of the day that TC and I eloped. On bikes. With friends who thought they were showing up for a pancake breakfast followed by a group bike ride to a nearby lake. Who we forced to dress up in powder blue tuxedos and mint green bridesmaids dresses. At 10 am.
Between two parts of the entry: data records.
........
[1]
Below is NdTeCl after structural relaxation, with properties calculated at the meta-GGA r2SCAN level.

a = 4.481 Å, b = 4.481 Å, c = 8.213 Å
α = 90.00°, β = 90.00°, γ = 90.00°
Element x y z (fractional)
Nd1 0.250 0.250 0.239
Nd2 0.750 0.750 0.761
Te1 0.250 0.250 0.636
Te2 0.750 0.750 0.364
Cl1 0.250 0.750 0.000
Cl2 0.750 0.250 0.000

Summary:
The raw total energy is -22.450 eV/atom.


[2]
Below is NiCl2 after structural relaxation, with properties calculated at the meta-GGA r2SCAN level.

a = 6.286 Å, b = 6.286 Å, c = 6.286 Å
α = 32.06°, β = 32.06°, γ = 32.06°
Element x y z (fractional)
Ni1 0.000 0.000 0.000
Cl1 0.260 0.260 0.260
Cl2 0.740 0.740 0.740

Summary:
The raw total energy is -9.079 eV/atom.


[3]
Below is NiCl2O2 after structural relaxation, with properties calculated at the meta-GGA r2SCAN level.

a = 5.630 Å, b = 5.630 Å, c = 6.618 Å
α = 105.27°, β = 105.27°, γ = 69.72°
Element x y z (fractional)
Ni1 0.000 0.500 0.000
Ni2 0.500 0.000 0.000
Cl1 0.183 0.183 0.741
Cl2 0.232 0.232 0.237
Cl3 0.768 0.768 0.763
Cl4 0.817 0.817 0.259
O1 0.303 0.638 0.074
O2 0.362 0.697 0.926
O3 0.638 0.303 0.074
O4 0.697 0.362 0.926

Summary:
The raw total energy is -7.675 eV/atom.


These records have volume values of 27.48 20.73 18.64 A^3/atom, in the order they appear.
These records have formation energy from the elements values of -6.36 -2.95 -2.14 eV per formula unit, in the order they appear.

=====

Entry 1:
The following is a GGA-PBE calculation of a relaxed structure of BaBiO3, from Materials Project.

Unit cell a=10.7967 b=6.2387 c=6.2876 alpha=90.00 beta=125.35 gamma=90.00
Space group C2/m (No. 12)
Unique sites:
Ba 0.2496 0.0000 0.2418
Bi 0.0000 0.0000 0.5000
Bi 0.0000 0.5000 0.0000
O 0.0415 0.2562 0.8004
O 0.2416 0.5000 0.3160

The value obtained for the energy of formation from the pure elements is -2233.4 meV/atom. The energy comes out at -119.03 eV per cell.


Entry 2:
The following is a GGA-PBE calculation of a relaxed structure of MgCu2Rh4S8, from Materials Project.

Unit cell a=7.3187 b=7.3193 c=10.3491 alpha=90.00 beta=90.00 gamma=90.00
Space group Imm2 (No. 44)
Unique sites:
Mg 0.0000 0.0000 0.0000
Cu 0.0000 0.0000 0.4990
Cu 0.0000 0.5000 0.2500
Rh 0.0000 0.2681 0.8653
Rh 0.2312 0.5000 0.6337
S 0.0000 0.2505 0.1243
S 0.0000 0.2784 0.6388
S 0.2210 0.5000 0.8601
S 0.2495 0.0000 0.8744

The value obtained for the energy of formation from the pure elements is -494.1 meV/atom. As for the excess energy over the best structure of this formula in the dataset: 254.9 meV/atom. The energy comes out at -151.47 eV per cell.


Entry 3:
The following is a GGA-PBE calculation of a relaxed structure of NdCdPd, from Materials Project.

Unit cell a=7.7552 b=7.7552 c=4.0369 alpha=90.00 beta=90.00 gamma=120.00
Space group P-62m (No. 189)
Unique sites:
Nd 0.0000 0.5926 0.0000
Cd 0.0000 0.2518 0.5000
Pd 0.0000 0.0000 0.0000
Pd 0.3333 0.6667 0.5000
........
So much for the data records.
Here is what happened. My dear friend Chris was scheduled to marry us on Saturday. On Wednesday he called me to say that he had just learned that he was not, contrary to what we all believed, legally able to marry us in Vermont. This problem seemed sort of minor compared to the issues I was dealing with on that day, being A) the recent and surprise delivery of forty metal voting boxes that had been irrevocably installed in the once spare and lovely town hall that we planned to marry in, and B) the fact that I had just spoken to my DJ on the phone and found that he was both a "monster fan" of techno and, by the sound of it, thirteen. "You are going to have to find someone to legally marry you, preferably before Saturdays ceremony." Chris told me. This, as it turned out, was my easiest problem of the day.
-- Crystal structures from another source follow --
/*
VASP calculation (PBE with a Hubbard U) on a relaxed V3Si3O10 crystal.

Cell and atoms, written as POSCAR:
```
V3Si3O10
1.0
4.8225 0.0000 0.0000
-2.3974 7.6145 0.0000
-0.0793 -0.1890 10.6488
V Si O
6 6 20
Direct
0.6002 0.6948 0.7252 V
0.9174 0.3074 0.7762 V
0.0000 0.5000 0.5000 V
0.0826 0.6926 0.2238 V
0.5000 0.5000 0.0000 V
0.3998 0.3052 0.2748 V
0.5351 0.6958 0.4086 Si
0.1528 0.6980 0.9117 Si
0.8085 0.0001 0.2520 Si
0.8472 0.3020 0.0883 Si
0.4649 0.3042 0.5914 Si
0.1915 0.9999 0.7480 Si
0.5086 0.8640 0.3224 O
0.3895 0.6788 0.5471 O
0.2750 0.5344 0.3339 O
0.0660 0.1300 0.8366 O
0.1928 0.3250 0.0959 O
0.1412 0.3253 0.6029 O
0.0449 0.1213 0.3443 O
0.2344 0.5285 0.8378 O
0.2904 0.6818 0.0507 O
0.3430 0.8721 0.8337 O
0.6570 0.1279 0.1663 O
0.7096 0.3182 0.9493 O
0.7656 0.4715 0.1622 O
0.9551 0.8787 0.6557 O
0.8588 0.6747 0.3971 O
0.8072 0.6750 0.9041 O
0.9340 0.8700 0.1634 O
0.7250 0.4656 0.6661 O
0.6105 0.3212 0.4529 O
0.4914 0.1360 0.6776 O
```

theoretical density: 3.4 Mg/m³
corrected total energy (MP2020 scheme): -275.66 eV/cell
spin magnetization: 14.00 Bohr magnetons per cell

=====

VASP calculation (PBE with a Hubbard U) on a relaxed VSi2O6 crystal.

Cell and atoms, written as POSCAR:
```
VSi2O6
1.0
-4.5058 -4.3893 1.6350
-4.5397 4.4020 -3.7239
4.5001 -4.4121 -7.0105
V Si O
4 8 24
Direct
0.8986 0.9251 0.3227 V
0.1016 0.5722 0.1729 V
0.8983 0.4250 0.8225 V
0.1018 0.0724 0.6731 V
0.7852 0.6816 0.5656 Si
0.7851 0.1815 0.0655 Si
0.2151 0.8155 0.9298 Si
0.2153 0.3155 0.4299 Si
0.3834 0.4807 0.7644 Si
0.3835 0.9806 0.2643 Si
0.6168 0.0164 0.7310 Si
0.6168 0.5164 0.2310 Si
0.3652 0.6946 0.8415 O
0.3651 0.1945 0.3415 O
0.6349 0.8025 0.6537 O
0.6350 0.3025 0.1537 O
0.3526 0.4499 0.5855 O
0.3525 0.9497 0.0855 O
0.6480 0.0470 0.9099 O
0.6482 0.5471 0.4099 O
0.8948 0.5489 0.6687 O
0.8947 0.0490 0.1689 O
0.1056 0.9484 0.8268 O
0.1057 0.4483 0.3267 O
0.6209 0.4400 0.8337 O
0.6211 0.9400 0.3338 O
0.3794 0.0574 0.6620 O
0.3792 0.5573 0.1619 O
0.1843 0.8397 0.2930 O
0.1843 0.3398 0.7932 O
0.8159 0.6574 0.2024 O
0.8158 0.1574 0.7022 O
0.9541 0.3387 0.0228 O
0.9542 0.8387 0.5228 O
0.0462 0.1585 0.4727 O
0.0461 0.6585 0.9727 O
```

theoretical density: 3.2 Mg/m³
distance to the lowest polymorph of the same formula: 2 meV/atom
corrected total energy (MP2020 scheme): -304.18 eV/cell
spin magnetization: 4.00 Bohr magnetons per cell

=====

VASP calculation (PBE with a Hubbard U) on a relaxed V2Si2O7 crystal.

Cell and atoms, written as POSCAR:
```
V2Si2O7
1.0
0.0000 4.6212 4.6212
4.6212 0.0000 4.6212
4.6212 4.6212 0.0000
V Si O
4 4 14
Direct
0.0000 0.0000 0.0000 V
0.5000 0.0000 0.0000 V
0.0000 0.5000 0.0000 V
0.0000 0.0000 0.5000 V
0.5000 0.5000 0.0000 Si
0.5000 0.0000 0.5000 Si
0.0000 0.5000 0.5000 Si
0.5000 0.5000 0.5000 Si
0.1250 0.1250 0.1250 O
0.5770 0.1730 0.1730 O
0.5770 0.1730 0.5770 O
0.1730 0.5770 0.1730 O
0.5770 0.5770 0.1730 O
0.1730 0.1730 0.5770 O
0.8270 0.4230 0.4230 O
0.1730 0.5770 0.5770 O
0.8270 0.8270 0.4230 O
0.4230 0.8270 0.4230 O
*/
Luckily, a real life Justice of The Peace, a wonderful lady by the name of Diane Mott, lives next door to the Blueberry Hill Inn. She and I had met a few months earlier. I hung up the phone and walked forty paces down the dirt road to her place, a simple little farmhouse dwarfed by wild rosebushes, and knocked on her door. I explained the problem to her and told her that TC and I had planned an activity for friends who were coming from out of town on Friday morning, a "Bride Ride", and had rented a bunch of bikes and would be cycling right past her yard. I asked if we could stop and tie the knot on our way to Silver Lake, thinking that we would do so in our bike shorts and then be on our merry way. I did not imagine it being anything more than a legality, really. She loved the idea, and loved the fact that it was surprise. I had said goodbye and was walking back down the driveway congratulating myself on having proved my bridesmaids wrong with such simple, sane, problem solving / wedding planning when I saw the big red barn, its wagon-width doors partway open. I turned back to look at Diane, who was still on her front porch. "What do you keep in there?" I asked, pointing at what looked like a dozen or so full skirts and petticoats poking out from under a dusty tarp. "Oh, I store and manage all of the costumes for every theater company in the state."
I called TC, who was still in New York, and ran my new plan past him. We agreed that unless we wanted to plan a second wedding (which we really, really, didn't) that we would stick to just one rule. We would invite everyone who planned to be in town by Friday morning on the bike ride but not tell any of them what was actually going to happen. Whoever showed up... showed up. We would get everyone dressed up and get married on the front lawn. TC and his groomsmen (every man who showed up for the ride, actually) dressed in powder blue polyester tuxedos with white ruffled shirts. My girls wore floor length mint green gowns with big gauzy mutton sleeves. They got to pick their own hats.
I found the exact dress - gunne sax, of course -that I would have chosen for my wedding gown had I gotten married in the eighth grade, and somehow it fit me more perfectly than the custom gown I would wear the following day. We all dressed in the big musty cavernous barn, the girls on one end and the guys on the other. I asked my good friend Tim, TC's brother and the person responsible for getting us together in the first place, to meet me at the barn door and walk me down the aisle. TC's father wore a big rainbow wig, his mother wore a very stunned look on her face and a hat that screamed Hello Dolly. My dear, dear friend Mike played his tiny tiny guitar beautifully with his brand new baby strapped to his chest. The other infant at the party wore a giant tutu, and I was planning to carry her down the aisle for lack of a bouquet until Diane appeared with a seriously stunning bunch of roses, cut from the hedges in front of her little house just minutes before. They were perhaps the prettiest bunch of flowers I had ever seen. This was the first moment that what had so far seemed to be an impromptu costume party to being... wait for it... my wedding.
Diane started to cry during the ceremony. She was great. Afterwards we passed around red plastic keg cups filled partway with champagne. It was almost perfect, and had taken literally ten minutes to plan.
Thats not to say it wasn't lacking in a few spots. TCs sister and oldest brother (his best man) weren't there, nor was virtually anyone from my family other than my sister. There was no food, unless you count the five chocolate chip cookies that Kristy ran back to the kitchen for before we got back on our bikes. I can't say that it was a completely stress-free wedding, because we were right there on the side of the road in full dress and I was seriously worried that a wedding guest - my mother, to be specific - would drive by in the middle of the event. I imagined her coming to a screaming halt and putting her car in reverse, then staring at us from the window of her car. "Heather?" she would have said "What the **** is going ON? You said SATURDAY!"
So, as wedding season approaches, keep Blueberry Hill and its extremely resourceful neighbors in mind. Especially Diane. She is a true, true gem. Not only did she lend her home and her costumes for the event, but she performed a completely heartfelt ceremony in front of some pretty ridiculous outfits, and did it with a lot of style.